Wanted =
Now find the line further down that holds "-18.618", then return that line and all lines after it there.

Excerpt =
Record 1
The following is a quantum chemistry calculation of a cluster of 11 separate species, C28H81N3O11 in total at a distorted geometry, from OMol25.

Energy ... -57335.0984 eV
Lowest unoccupied orbital energy ... 0.340 eV

The geometry in ORCA input format:
```
! RIJCOSX wB97M-V def2-TZVPD def2/J DEFGRID3
* xyz 0 1
C -3.461 2.800 -16.995
O -2.646 2.766 -18.172
C -2.701 1.481 -18.770
C -1.531 1.436 -19.749
C -1.717 0.235 -20.617
N -0.264 1.395 -19.060
H -4.441 2.937 -17.452
H -3.381 3.701 -16.387
H -3.423 1.858 -16.449
H -2.743 0.641 -18.078
H -3.615 1.438 -19.363
H -1.359 2.236 -20.469
H -0.781 0.157 -21.171
H -2.436 0.377 -21.424
H -1.819 -0.745 -20.150
H 0.443 1.632 -19.741
H -0.269 2.151 -18.390
C 0.537 -1.559 -16.329
O 1.164 -0.901 -15.258
C 0.381 0.098 -14.549
C 0.048 1.397 -15.361
C 1.241 2.008 -16.150
N -0.506 2.425 -14.465
H 0.414 -0.865 -17.161
H -0.475 -1.852 -16.050
H 1.199 -2.405 -16.518
H -0.480 -0.359 -14.062
H 0.989 0.480 -13.729
H -0.628 1.155 -16.181
H 0.848 2.905 -16.628
H 1.557 1.364 -16.971
H 2.084 2.169 -15.478
H -1.192 2.033 -13.836
H -1.037 2.958 -15.139
C -1.805 -4.547 -17.909
O -3.201 -4.724 -18.009
C -3.656 -5.213 -19.291
C -3.584 -4.009 -20.283
C -4.259 -2.638 -19.751
N -4.317 -4.502 -21.466
H -1.723 -4.551 -16.822
H -1.412 -3.658 -18.402
H -1.057 -5.210 -18.345
H -3.126 -6.060 -19.726
H -4.648 -5.551 -18.994
H -2.536 -3.840 -20.534
H -5.190 -2.768 -19.199
H -4.508 -1.993 -20.594
H -3.480 -2.184 -19.139
H -4.614 -3.771 -22.096
H -5.082 -5.122 -21.240
C -5.678 2.374 -12.074
C -4.541 3.051 -12.840
O -4.445 4.441 -12.674
H -5.443 1.323 -11.903
H -6.549 2.446 -12.725
H -5.908 2.903 -11.149
H -4.636 2.850 -13.907
H -3.570 2.721 -12.471
H -3.871 4.521 -11.909
C -2.058 -2.567 -23.542
C -2.836 -2.308 -24.799
O -3.540 -3.433 -25.112
H -1.479 -1.691 -23.247
H -1.464 -3.473 -23.660
H -2.566 -2.602 -22.578
H -2.166 -1.904 -25.557
H -3.625 -1.579 -24.612
H -3.145 -3.744 -25.931
C 5.906 0.911 -19.715
C 5.032 2.088 -19.611
O 3.814 1.683 -20.183
H 6.885 1.221 -19.348
H 6.067 0.425 -20.677
H 5.594 0.145 -19.005
H 5.484 2.952 -20.098
H 5.016 2.232 -18.531
H 3.256 2.464 -20.158
C -1.637 7.621 -18.944
C -2.198 6.203 -18.901
O -1.233 5.125 -18.765
H -0.972 7.848 -18.112
H -2.412 8.388 -18.935
H -1.010 7.820 -19.813
H -2.839 6.046 -19.769
H -2.856 6.129 -18.035
H -1.610 4.253 -18.626
C -3.458 -0.709 -13.865
C -3.514 -1.637 -15.063
O -2.749 -2.722 -14.756
H -4.106 0.135 -14.099
H -2.502 -0.258 -13.601
H -3.849 -1.202 -12.975
H -3.346 -1.234 -16.062
H -4.556 -1.950 -15.013
H -3.126 -3.436 -15.275
C -0.706 4.511 -22.468
C 0.578 4.218 -21.666
O 0.882 2.837 -21.695
H -0.690 4.245 -23.525
H -0.904 5.564 -22.271
H -1.580 3.938 -22.156
H 0.665 4.483 -20.613
H 1.443 4.650 -22.169
H 1.353 2.569 -22.487
C -5.649 1.293 -22.625
C -4.743 2.536 -22.872
O -4.749 2.946 -24.246
H -5.365 0.834 -21.678
H -5.580 0.474 -23.341
H -6.705 1.501 -22.456
H -3.703 2.292 -22.653
H -4.932 3.368 -22.195
H -5.659 3.220 -24.385
C -8.760 3.351 -17.524
C -8.153 2.326 -18.552
O -8.706 2.563 -19.824
H -8.276 3.277 -16.550
H -9.769 3.151 -17.165
H -8.696 4.408 -17.784
H -8.514 1.323 -18.323
H -7.069 2.412 -18.618
H -9.473 3.126 -19.696
*
```

Record 2
The following is a quantum chemistry calculation of a cluster of 7 separate species, C28H82Cl2N14O8P4 in total at a distorted geometry, from OMol25.

Energy ... -129804.3134 eV
Lowest unoccupied orbital energy ... -0.154 eV

The geometry in ORCA input format:
```
! RIJCOSX wB97M-V def2-TZVPD def2/J DEFGRID3
* xyz 0 1
C 3.997 0.968 -3.160
N 4.897 0.023 -2.586
C 6.307 0.292 -2.915
P 4.326 -1.204 -1.457
O 2.847 -1.395 -1.395
N 5.190 -2.579 -2.039
C 4.627 -3.575 -2.926
C 6.637 -2.792 -1.757
N 5.047 -0.787 0.019
C 5.016 0.612 0.518
C 5.002 -1.745 1.105
H 3.938 0.864 -4.243
H 4.208 1.939 -2.711
H 2.963 0.773 -2.875
H 6.805 -0.600 -3.292
H 6.847 0.778 -2.102
H 6.407 1.045 -3.697
H 5.392 -3.895 -3.633
H 4.151 -4.394 -2.385
H 3.951 -3.009 -3.567
H 6.986 -2.156 -0.944
H 6.864 -3.782 -1.362
H 7.194 -2.630 -2.680

Done =
H -7.069 2.412 -18.618
H -9.473 3.126 -19.696
*
```

Record 2
The following is a quantum chemistry calculation of a cluster of 7 separate species, C28H82Cl2N14O8P4 in total at a distorted geometry, from OMol25.

Energy ... -129804.3134 eV
Lowest unoccupied orbital energy ... -0.154 eV

The geometry in ORCA input format:
```
! RIJCOSX wB97M-V def2-TZVPD def2/J DEFGRID3
* xyz 0 1
C 3.997 0.968 -3.160
N 4.897 0.023 -2.586
C 6.307 0.292 -2.915
P 4.326 -1.204 -1.457
O 2.847 -1.395 -1.395
N 5.190 -2.579 -2.039
C 4.627 -3.575 -2.926
C 6.637 -2.792 -1.757
N 5.047 -0.787 0.019
C 5.016 0.612 0.518
C 5.002 -1.745 1.105
H 3.938 0.864 -4.243
H 4.208 1.939 -2.711
H 2.963 0.773 -2.875
H 6.805 -0.600 -3.292
H 6.847 0.778 -2.102
H 6.407 1.045 -3.697
H 5.392 -3.895 -3.633
H 4.151 -4.394 -2.385
H 3.951 -3.009 -3.567
H 6.986 -2.156 -0.944
H 6.864 -3.782 -1.362
H 7.194 -2.630 -2.680